The Project will involve the deployment, operation, monitoring, and evaluation of two 6-meter diameter Open-Center turbines developed and manufactured by OpenHydro Group Ltd. While the project will be connected to the grid and produce a modest amount of energy, the primary purpose of the Project is to gather data to better inform the viability of commercial tidal energy generation from technical, economic, social, and environmental standpoints. This data is critical to the responsible advancement of commercial scale tidal energy in the United States.
The two, 19-foot-tall OpenHydro System turbines are designed to convert the kinetic energy of water flowing at velocities of 2.3 feet per second to nearly 11 feet per second into electricity. Each turbine is designed to generate 300 kW. The turbines are expected to rotate about 70 percent of the time, producing 244,000 kW hours of energy annually.
Installing the turbines will require a specialized barge and multiple support vessels. The turbine installation barge will be towed to the site by a tugboat and installed during the slack tide and under calm sea conditions. Once the turbine installation barge is centered over the installation site, winches onboard will slowly lower the turbine to the seafloor. A submersible, remotely operated vehicle will monitor the placement of the turbine on the sea floor. The installation process is expected to take less than one hour. At the end of the license period of up to 10 years of operation, the turbines will be removed from the sea floor using the same method as for installation, in reverse. This procedure will also be followed for any necessary maintenance on the turbine or components during the license period.
Two electrical transmission cables (one for each turbine) will be installed by a combination of horizontal directional drilling (HDD) and directly laying cable on the seafloor. The HDD work will require a bore pit on land approximately 8 feet by 12 feet by 6 feet deep and will drill underground to approximately the 19-meter water depth contour, where it will exit underwater. Scuba divers will be present to oversee the HDD exit. From the exit point, the cables will be directly laid on the sea floor by a specially equipped cable-laying vessel coupled to the turbine installer barge. No anchors will be used to hold the transmission cables in place. To avoid additional disturbance of the sea floor, the cables may remain in place after conclusion of the pilot project and removal of the turbines. The District will evaluate the condition of the cables at the conclusion of the project and discuss with appropriate agencies whether to leave them in place or remove them.
Two semi-permanent anchors with acoustic releases are proposed to aid in deployment and retrieval of monitoring equipment and conducting ROV surveys. The anchors will be either embedment type or concrete blocks depending on further analysis of the sea floor substrate, and will be installed prior to the turbine and cable installation. The anchors will be designed to stay in place for the duration of the pilot project. The District anticipates removing the anchors at the conclusion of the project.
The approximately 800 square foot terrestrial utility structure (control room) will be constructed on private property outside of the shoreline area. Underground cables will be trenched a distance of approximately 70 meters from the power control building to connect to Puget Sound Energy’s electric distribution system.
The two turbines will be placed about half a mile from the Whidbey Island shoreline at a water depth of approximately 190 feet. This site location sits on the east side of Admiralty Inlet, which is in the northwest portion of Puget Sound between the Olympic Peninsula and Whidbey Island where Puget Sound meets the Strait of Juan de Fuca, Washington, USA.
Licensing Information
- December 28, 2009 – Draft Application filed;
- March 4, 2010 – Notice of Technical Meeting issued;
- April 12, 2010 – Transcript of Technical Meeting issued;
- May 6, 2010 – Letter Modifying Pre-filing Schedule issued;
- July 8, 2010 – Successive Preliminary Permit issued;
- August 6, 2010 – Additional Information Request issued;
- January 3, 2011 – Snohomish County PUD No. 1 Progress Report #1;
- June 24, 2011 – Response to Additional Information Request filed;
- July 7, 2011 – Snohomish County PUD No. 1 Progress Report #2;
- December 30, 2011 - Snohomish County PUD No. 1 Progress Report #3;
Calculated crystals that have nothing to do with the piece:
'''
# H5Pt3Pb2 (PBE-GGA, relaxed)
data_H5Pt3Pb2
_cell_length_a 5.664
_cell_length_b 7.487
_cell_length_c 7.502
_cell_angle_alpha 67.14
_cell_angle_beta 77.56
_cell_angle_gamma 77.06
_space_group_name_H-M_alt 'P -1'
_space_group_IT_number 2
loop_
_space_group_symop_operation_xyz
'x,y,z'
'-x,-y,-z'
loop_
_atom_site_label
_atom_site_fract_x
_atom_site_fract_y
_atom_site_fract_z
_atom_site_occupancy
H1 0.147 0.420 0.315 1
H2 0.233 0.097 0.182 1
H3 0.268 0.827 0.919 1
H4 0.286 0.644 0.355 1
H5 0.326 0.706 0.598 1
Pt1 0.183 0.636 0.153 1
Pt2 0.248 0.035 0.976 1
Pt3 0.305 0.863 0.378 1
Pb1 0.207 0.124 0.582 1
Pb2 0.292 0.430 0.890 1
# Electronic total energy in eV per cell: -85.20

----------

Record 1
Li3Sn7 | Alexandria via LeMat-Bulk | PBE | optimized geometry; total energy = -0.2577 Ry per atom; E above lowest polymorph = 0.370 eV per formula unit; size of the total moment = 0.0 μB/f.u.; DFT formation energy = -0.130 eV/atom; calculated volume = 238.6 Å³/f.u.
1.0
9.158 0.000 0.000
-4.579 7.931 0.000
0.000 0.000 6.570
Li Sn
6 14
Cartesian
0.000 3.380 0.000
-1.652 6.241 0.000
2.927 1.690 3.285
1.652 6.241 0.000
6.230 1.690 3.285
4.579 4.551 3.285
-1.968 4.151 2.011
0.000 1.895 3.298
-2.938 6.983 3.298
1.641 0.947 0.013
0.000 5.287 4.309
1.968 4.151 2.011
0.000 7.560 2.011
4.579 0.371 5.296
2.611 3.780 5.296
4.579 2.644 1.024
2.938 6.983 3.298
7.517 0.947 0.013
4.579 6.036 0.013
6.547 3.780 5.296

---

Record 2
Cd3Ni | Alexandria via LeMat-Bulk | PBE | optimized geometry; total energy = -0.1555 Ry per atom; size of the total moment = 0.0 μB/f.u.; DFT formation energy = 0.017 eV/atom; calculated volume = 78.3 Å³/f.u.
1.0
7.619 0.000 0.000
0.000 8.118 0.000
0.000 0.000 5.062
Cd Ni
12 4
Cartesian
0.136 2.029 0.451
1.274 0.504 3.060
1.274 3.554 3.060
2.536 4.563 0.529
2.536 7.613 0.529
3.673 6.088 2.982
3.946 2.029 2.080
5.083 0.504 4.533
5.083 3.554 4.533
6.345 4.563 2.002
6.345 7.613 2.002
7.482 6.088 4.611
1.030 6.088 2.154
2.780 2.029 4.685
4.839 6.088 0.377
6.589 2.029 2.908

---

Record 3
AgPd2S6 | Alexandria via LeMat-Bulk | PBE | optimized geometry; total energy = -0.3109 Ry per atom; raw formation energy = -0.0075 eV per atom; size of the total moment = 0.0 μB/f.u.; calculated volume = 178.1 Å³/f.u.
1.0
6.740 0.000 0.000
-3.370 5.837 0.000
0.000 0.000 4.526
Ag Pd S
1 2 6
Cartesian
0.000 0.000 0.000
0.000 3.891 2.263
3.370 1.946 2.263
-1.379 2.388 0.837
-1.991 3.449 3.689
2.757 0.000 0.837
1.379 2.388 3.689
3.983 0.000 3.689
1.991 3.449 0.837

---

Record 4
GdZnCdAg | Alexandria via LeMat-Bulk | PBE | optimized geometry; total energy = -0.3730 Ry per atom; size of the total moment = 7.2 μB/f.u.; DFT formation energy = -0.294 eV/atom; calculated volume = 84.1 Å³/f.u.
1.0
0.000 3.478 3.478
3.478 0.000 3.478
3.478 3.478 0.000
Gd Zn Cd Ag
1 1 1 1
Cartesian
0.000 0.000 0.000
1.739 1.739 1.739
3.478 3.478 3.478
5.217 5.217 5.217

---

Record 5
'''
Back to the piece:
- March 1, 2012 – Final License Application of Public Utility District No.1;
- April 19, 2012 – Structural Design and OpenHydro Tidal Technology Preliminary Design Report for Snohomish County PUD No. 1.
- July 3, 2012 – Snohomish County PUD No. 1 Progress Report #4;
- July 16, 2012 – Additional Information Request issued;
- August 27, 2012 – Response to Additional Information Request filed;
- November 16, 2012 – Benthic Habitat Monitoring and Mitigation Plan filed;
- December 31, 2012 – Snohomish County PUD No. 1 Progress Report #5;
- January 15, 2013 – Notice of Availability of Draft Environmental Assessment for the Admiralty Inlet Tidal Project issued (begins period of commenting);
- March 27, 2013 – Notice of Technical Meeting issued;
- May 13, 2013 – Transcript of Technical Meeting issued;
- July 1, 2013 – Snohomish County PUD No. 1 submits a Successive Permit Application;
- August 9, 2013 – Notice of availability of the Final Environmental Assessment for the Admiralty Inlet Tidal Project issued;
- August 28, 2013 – Notice of Acceptance of NEPA Environmental Assessment and SEPA Addendum;
- November 18, 2013 – Determination of Nonsignificance (DNS) and Adoption of Existing Environmental Document and SEPA Addendum;
- December 3, 2013 – The National Marine Fisheries Service concluded formal consultation with the Commission under section 7(a)(2) of the Endangered Species Act and issued a biological opinion on the project’s effects on species listed as threatened or endangered under that act;
- December 3, 2013 – Ecology issued a water quality certification for the project under section 401 of the Clean Water Act;
- March 20, 2014 - FERC issues pilot license for Tidal Project;
- May 2, 2014 - Public Utility District No. 1 of Snohomish County submits the Exhibit drawings and project boundary data;
Complete licensing information can be found on the FERC eLibrary website using docket number P-12690.
Requirement | Agency | Status |
Section 18 of the FPA (fishway prescriptions) | U.S. Department of the Interior (Interior) on behalf of the Fish and Wildlife Service (FWS) | Interior requested a reservation of authority to prescribe fishways under section 18 on May 23, 2012. |
Section 10(j) of the FPA | National Marine Fisheries Service (NMFS), FWS, and Washington Department of Fish and Wildlife (Washington DFW) | NMFS, Interior, and Washington DFG filed 10(j) recommendations on May 23, 2012. |
Clean Water Act – Water Quality Certification |
Washington Department of Ecology (Washington Ecology) | NMFS, Interior, and Washington DFG filed 10(j) recommendations on May 23, 2012. |
Endangered Species Act Consultation | NMFS, FWS | Formal consultation with NMFS was requested on April 23, 2012 and January 22, 2013; a biological opinion was due on June 7, 2013. FWS concurred with staff’s determination of not likely to adversely affect listed species on June 12, 2012. |
Marine Mammals Protection Act | NMFS | Proposed construction and operation may adversely affect marine mammals. Snohomish PUD intends to request an Incidental Harassment Authorization pursuant to the Marine Mammal Protection Act after the license is issued but before any marine activities are conducted for the project. |
Magnuson-Stevens Fishery Conservation and Management Act | NMFS | Project installation and operation is not expected to adversely affect Essential Fish Habitat (EFH). An EFH assessment was provided to NMFS on April 23, 2012. |
Coastal Zone Management Act Consistency | Washington Ecology | Washington Ecology received a Coastal Zone Management Act consistency certification on March 26, 2012. Washington Ecology has not yet acted on the request, which was due September 24, 2012. |
National Historic Preservation Act | Washington State Historic Preservation Office (Washington SHPO) | Washington SHPO concurred with a finding of no adverse effect on historic properties on February 28, 2012. |
Project Progress
On June 30, 2010, the District informed the Commission that, through facilitated discussions, it had resolved many of the outstanding disputes (adequacy of baseline information for aquatic resources, installation and operation protective measures for SRKW, and a timeline for the development of monitoring plans and an adaptive management process). The Snohomish PUD proposed to file a file license application by October 31, 2010, but additional information requests required more time to complete. Therefore, the Snohomish PUD filed the pilot project final license application on March 1, 2012. In reviewing the application, Commission staff held three technical conferences to discuss issues associated with project installation and operation and issued draft and final Environmental Assessments on January 15 and August 9, 2013 respectively. Staff needs the information to grant the waivers and complete its environmental analysis. On September 30, 2014, Snohomish PUD announced that the projects will no longer advance, stating that the US Department of Energy decided not to share the rising costs of the next stage of development. According to the PUD, the requirements became more onerous than expected for a temporary research project.
Key Environmental Issues
Potential harm due to blade strike on southern resident killer whale (SRKW) and listed salmon and steelhead, potential noise disturbance and displacement of SRKW; potential electromagnetic field (EMF) effects on SRKW and listed rockfish; potential effects of habitat alteration for listed rockfish; and potential navigation impairment by towboats.
Papers, Reports, Research Studies
• Assessment of Strike of Adult Killer Whales by an OpenHydro Tidal Turbine Blade
• Effects Of Tidal Turbine Noise On Fish Hearing And Tissues
• Detection of Tidal Turbine Noise: A Pre-Installation Case Study for Admiralty Inlet, Puget Sound
• Study of the Acoustic Effects of Hydrokinetic Tidal Turbine in Admiralty Inlet, Puget Sound
• Admiralty Inlet Final Environmental Assessment
• Admiralty Inlet Pilot Tidal Project Final Technical Report
Baseline Assessment: Admiralty Inlet Pilot Tidal Project
Receptor | Study Description | Design and Methods | Results | Status |
Fish, Human Dimensions, Fisheries | Hydro-acoustic fisheries investigations. | Mobile hydro-acoustic surveys to determine fish densities in deployment area. Also deployed acoustic tag receiver on the seabed to collect information on presence and use of the project area by tagged species, such as the federally listed green sturgeon and several salmon species. | Preliminary results indicate minimal to moderate use of deployment area by fish; however, methods do not allow determination of use by species | Completed |
Fish | The effects of turbine noise on Chinook Salmon. (Appendix P). | Test organisms were collected and exposed to a range of sounds associated with turbine noise. Fish were assessed at four different time points for tissue damage and changes in hearing sensitivity. | Overall, the sound level from this study would be an extreme exposure situation for migrating Chinook salmon and the results indicated low levels of tissue injury and no effects on hearing. | Completed |
Invertebrates | Trawled marine invertebrates. | From 1987-2008, Washington DFW conducted 50 trawls in Admiralty Inlet within the depth range of 31-60m, depths within which the turbines would be deployed. | The primary crustaceans collected were dock shrimp, Alaskan pink shrimp, giant barnacle, Dungeness crab, and red rock crab (Snohomish PUD, 2012). The primary echinoderms collected were green sea urchin, sunflower star, red sea cucumber, and red sea urchin. The most abundant mollusks collected were pink scallop, California market squid, and northern horse mussel. Other invertebrates | Completed |
Physical Environment, Sediment Transport | Characterization of benthic substrate and habitats. (Appendix L-8). | Observations made aboard the support vessel and barge using Global Diving’s Remotely Operated Vehicle (ROV) Seaeye Cougar-XT. | Based on these observations and organism counts it appears that the turbine site can be characterized as a coarse-grained, cobble, pebble, boulder habitat for encrusting organisms and Sculpin, although some rockfish appear to use the habitat as well. Epifauna such as sunfish and urchins also use the habitat. | Completed |
Physical Environment, Water Quality | Water Quality (Appendix L-5). | A combination of survey cruises and bottom-mounted instrumentation have been deployed in Admiralty Inlet in the region surrounding a prospective tidal energy device deployment. | Measurements and comparison to longer time series indicate significant temporal variability in water quality on tidal, seasonal, and annual time scales. Depending on the season, there may be considerable vertical variations. | Completed |
Human Dimensions, Navigation | Assessment of Marine Safety Risk (Appendix L-13, page 26). | 2010 AIS tracking statistics used to analyze frequency of ship collisions. Proximity to shipping lanes and the presence of commercial fishing or recreational diving also explored. | The District’s tidal energy project should present little or no hazard to Puget Sound navigation safety. | Completed |
Marine Mammals | Underwater noise studies (Appendix O). | Deployed underwater noise measuring equipment in proposed project area. Modelling of anticipated underwater noise effects using ambient data collected from project site conditions together with noise outputs of a similar Open Hydro 10-meter turbine in the Bay of Fundy and its 6-meter turbine at EMEC facilities to determine anticipated pilot project acoustic effects on marine mammals. | When taken in the context of pre‐installation ambient noise, the noise from turbine operation is not likely to be routinely detected by marine animals at distances greater than a few hundred meters from the project. | Completed |
Marine Mammals | Long-term marine mammal surveys. | 12 years of surveys (1992 -2004) conducted by Washington DFW. | Harbor seals are the most commonly sighted (687 sightings) marine mammal within 0.4 km (0.25 miles) of Admiralty Inlet, followed by harbor porpoise (67 sightings), Dall’s porpoise (16 sightings), river otter (12 sightings), killer whale (10 sightings), and California sea lion (8 sightings). | Completed |
Marine Mammals, Cetaceans | Southern resident killer whale (SRKW) observations (Appendix L-7). | Shore and boat-based observations, coupled with acoustic monitoring of whale echolocation using hydrophones, to determine timing and extent of use of the federally listed endangered SRKW in deployment area. | There were an average of 60.5 whale days per year in Puget Sound from 2001-2008, and 70% of these whale days were concentrated in the months of October through January. | Completed |
Fish | Trawled fish survey. | From 1987-2008, Washington DFW conducted 50 trawls in Admiralty Inlet within the depth range of 31-60m, depths within which the turbines would be deployed. | Ratfish (65% of the catch), Pacific sanddab (5%), English sole (4%), southern rock sole (4%), great sculpin (3%), buffalo sculpin (2%), Pacific tomcod (2%), spiny dogfish (2%), and Puget Sound rockfish (2%). All species of rockfish caught (Puget Sound, copper, greenstripe, quillback, redstripe, and unidentified rockfish) composed 5% of the total catch. | Completed |
Fish | Density of fish at nearby locations. | Washington DFW surveys at the two locations nearest the project site. | The most numerous fish sampled were spotted ratfish, ribbed sculpin, buffalo sculpin, grunt sculpin, kelp greenling, and lingcod. No salmon were captured in trawls at either of these locations. | Completed |
Post-Installation Monitoring: Admiralty Inlet Pilot Tidal Project
Stressor | Receptor | Study Description | Design and Methods | Results | Status |
Collision | Fish, Marine Mammals | Marine mammal and fish interactions. | Post-deployment monitoring using multi-beam acoustic camera and lighted video to detect and observe marine species interactions between pilot project turbines and fish/marine mammals; deployment of digital broadband hydrophone that allows real-time measurement of turbine noise and collection of marine mammal use of project area. Details of monitoring plans still under agency consultation and review. SRKW protection plans tied to Pacific Northwest National Lab efforts to define monitoring protocol. | NA | Planned |
Noise | Fish | The effects of turbine noise on Chinook Salmon. (Appendix P, section 7.0). | Experiments similar to those completed on the Chinook Salmon will be performed on a local physoclistous species for evaluation of physiological response to exposure from tidal turbine sound. The leading candidate at this time is a rockfish because they are likely to live in close proximity to the turbines. | NA | Planned |
Habitat Change | Invertebrates | Changes in the benthic habitat (Appendix B, page 2). | Observations will be taken of six sampling sites and the two turbine sites with a Remotely Operated Vehicle (ROV). Fish abundance and size will also be recorded. | NA | Planned |
Changes in Flow | Physical Environment, Water Quality | Measure of Water Quality (Appendix D). | Turbidity, spills, leaching, conductivity, temperature, dissolved oxygen, and pH will be monitored during all stages of construction and operation. | NA | Planned |